Wednesday, June 18, 2008

This thing called fear.

**Next to the article, the page also holds records of molecules:**
........
DFT (wB97M-V/def2-TZVPD) results for 13 unconnected molecules or ions with the total composition C69H149F3O39 in a non-equilibrium geometry.

Geometry (Å):
C -1.81840 -5.45404 -6.21357
O -0.64172 -5.88430 -6.85219
C 0.28087 -4.84518 -7.18919
C 0.89260 -4.26401 -5.93130
O 0.04265 -3.26076 -5.36362
C 0.59451 -2.00752 -5.67243
C -0.38521 -0.86383 -5.45690
O -0.79168 -0.56337 -4.05983
C -1.25263 -1.71573 -3.39022
H -2.38013 -6.33964 -6.05386
H -2.41784 -4.69721 -6.78565
H -1.64128 -5.02382 -5.20381
H -0.07665 -4.00526 -7.85193
H 1.08791 -5.35470 -7.72150
H 1.87205 -3.77872 -6.00474
H 1.04440 -5.07296 -5.21800
H 0.97389 -1.98316 -6.70754
H 1.38772 -1.65512 -5.04307
H -1.35136 -0.93053 -5.98392
H 0.09864 0.07174 -5.70175
H -1.47790 -1.39092 -2.35607
H -0.52012 -2.56817 -3.25668
H -2.19381 -2.10872 -3.77953
C -4.18877 -5.83206 -2.24972
O -3.63165 -6.58526 -1.11479
C -2.33896 -6.27453 -0.81219
C -1.83831 -7.34779 0.20108
O -0.79847 -6.85731 1.01803
C -0.70816 -7.63142 2.14232
C -1.62962 -7.18070 3.22471
O -1.46990 -5.81943 3.55622
C -0.30538 -5.48694 4.20515
H -3.93568 -6.32478 -3.21326
H -3.79611 -4.85523 -2.43096
H -5.27072 -5.80135 -2.21595
H -2.13431 -5.28779 -0.35671
H -1.60943 -6.24699 -1.71667
H -1.47617 -8.17782 -0.47863
H -2.72830 -7.65663 0.78008
H 0.37015 -7.53442 2.51335
H -0.84521 -8.66372 1.89992
H -1.59728 -7.79551 4.13973
H -2.67902 -7.33479 2.91362
H -0.46864 -4.52525 4.73417
H 0.52340 -5.20778 3.57914
H 0.05505 -6.20125 4.92334
C -4.27731 -5.02212 2.43482
O -5.42596 -4.30103 2.22062
C -5.19937 -3.15684 1.49143
C -4.96300 -3.37729 0.02877
O -6.07423 -3.79830 -0.74871
C -7.13514 -2.85561 -0.66858
C -7.97754 -3.25248 -1.85560
O -9.04901 -2.41580 -2.06947
C -9.79170 -2.79092 -3.19514
H -4.04688 -5.72488 1.66362
H -4.34450 -5.63494 3.34425
H -3.42892 -4.38951 2.50625
H -4.37119 -2.67611 1.89585
H -6.00113 -2.41450 1.60730
H -4.17373 -4.16109 -0.10080
H -4.53579 -2.44295 -0.40697
H -6.72731 -1.88583 -0.91626
H -7.80611 -2.78437 0.14167
H -8.33223 -4.26270 -1.69445
H -7.32133 -3.29161 -2.74288
H -9.19659 -2.74272 -4.16472
H -10.65998 -2.06408 -3.36006
H -10.14345 -3.84167 -3.09159
C -1.33797 1.66482 3.99661
O -0.20231 2.06639 4.63232
C 0.79112 2.47192 3.73767
C 2.02429 2.96516 4.45974
O 2.81974 1.87829 4.83240
C 3.93573 2.31507 5.64445
C 4.56796 1.16033 6.36296
O 5.21243 0.28163 5.46013
C 5.69583 -0.90985 6.06611
H -2.03068 1.48931 4.77813
H -1.23823 0.67946 3.44177
H -1.61914 2.44111 3.32771
H 0.42484 3.28688 3.10970
H 0.94030 1.72937 3.00350
H 1.67762 3.46281 5.38832
H 2.67390 3.63259 3.81135
H 3.59282 3.02517 6.44287
H 4.62377 2.81996 4.96120
H 3.81694 0.65348 7.03599
H 5.32155 1.64836 7.03188
H 4.90968 -1.56262 6.48505
H 6.40758 -0.60754 6.84120
H 6.14964 -1.53388 5.27971
C 5.36141 6.49946 -0.69649
O 4.23723 5.56827 -0.60608
C 4.24193 4.56228 -1.61364
C 4.87654 4.99923 -2.93461
O 4.13314 6.10496 -3.45791
C 4.91766 6.90500 -4.29553
C 4.08712 8.09072 -4.80663
O 3.03206 7.48719 -5.52198
C 1.99021 8.42733 -5.75891
H 5.61035 6.81829 -1.71492
........

It's late, I'm sick as a dog with some wicked sinus infection that only gets worse when I try to I'm here at the computer, just writing about my thoughts.....

The last week has been full of sleepless nights because I've had a lot on my mind & a LOT has happened that I haven't even had time to write about. For starters, I had a bit of a scare with my unborn child, and then on Friday my grandpa died. As sad as this may sound, I didn't even shed one tear...I just didn't know him. It's as simple as that. It feels a bit wrong & very unsettling to be so ambivalent about his passing, but that's honestly how I felt. It was really hard to know just what to feel when I never knew him. However, that event got me thinking about my life and my legacy.

What do I want to leave behind. How do I want my children & my grandchildren to remember me. What will be the mark I leave on this world that will last. If I'm honest, really honest, these thoughts scare me quite a bit. When I think about what I want to leave behind the task seems daunting. One thing that I desire more than anything else is to raise my children to be "thinkers". I want them to question things they don't understand until they find the answers. I want them to think "outside the box" (as cliche' as that sounds) & be stubborn enough to cling to their passions. I want to model for my children a strong love for God's word & a passion for doing what's right.

However, the reason these things scare me is that I know there is a very heavy price to be paid when you do these things. It's never easy to travel "the road less traveled". BUT...I want my children to know the reward that awaits them when they challenge convention & find the freedom on the other side! I want to teach my children and my children's children to look at this thing called "fear" square in the face & tell it "you don't own me", because that's the only way we win.

Having said all that, I'm struggling with my own battle of sorts right now, and it's so painful! I hate it! Long story short... I feel like God has been leading me down a whole new road with no map to follow. Talk about confusing! It seems like the more I search, the more questions I have. It just doesn't seem fair! On the one hand, I long to fall into that "mold" where things are easy & predictable. On the other hand, it's kind of exciting to be searching out a whole new path. I definitely need a little more direction right now, but that will come...that will come. I just hope I'm brave enough this time to face my fears & not allow them to own me. I don't want that to happen with this one...I want to win this battle even if I'm left with a limp.

The one thing I take comfort in is this: God has never failed me yet! I've been through too much to think that God makes mistakes, or that he leads us down empty roads. When God created me he knew my hearts desires even before I did. He knew I would come to this day & ask these questions. Nothing takes him by surprise. I believe He delights in our questioning, because it only proves that we are using the brains he gave us to think with ;-). For now, I'll have to be patient, because it appears these answers won't come overnight.

I love this song by Kendall Payne. I cried my eyes out tonight when I listened to it because I felt The Lord speaking straight to my heart through these lyrics. It's one of those songs I've heard before, but tonight it just hit me.

I Will Show You Love
- By: Kendall Payne

I will show you love like you’ve never loved before
I will go the distance and back for more if you just say the word

[Between two parts of the text: molecular data]
~~~
# C3H4O2

C3H4O2 as an isolated structure (the ωB97M-V functional and the def2-TZVPD basis, the Open Molecules 2025 dataset).

Values from the calculation:
Maximum force (eV Å⁻¹): 4.4
Orbital gap (eV): 10.26
DFT total energy (hartree): -267.0935
LUMO (eV): 0.98

Positions of all 9 atoms, in Å:
C  -0.4282  -0.6470  0.0388
C  -1.1960  0.4287  -0.1598
C  0.6324  0.3067  0.4338
O  -0.2272  1.3705  0.0624
O  1.9854  0.2785  -0.1545
H  -0.4925  -1.7317  -0.0903
H  -2.1966  0.7857  -0.3791
H  0.6382  0.0897  1.4774
H  1.8480  0.6247  -0.9942



# C2H6IN2O2

C2H6IN2O2 as an isolated structure (the ωB97M-V functional and the def2-TZVPD basis, the Open Molecules 2025 dataset).

Values from the calculation:
Maximum force (eV Å⁻¹): 6.5
Orbital gap (alpha / beta) (eV): 8.41 / 5.31
2S+1: 3
DFT total energy (hartree): -637.0694
Charge: +1
LUMO (alpha / beta) (eV): -3.11 / -7.19

Positions of all 13 atoms, in Å:
C  -1.1679  0.3628  -0.3906
C  0.5996  -0.5348  0.0927
N  -1.8505  -0.4945  -1.0889
N  1.3576  0.7631  0.5288
O  -1.0495  1.3976  0.1340
O  0.9336  -1.1965  -0.9643
I  2.6567  -2.3771  -1.2066
H  0.3811  -1.1021  1.0952
H  -1.4543  -1.3582  -1.3696
H  -2.8347  -0.4029  -1.3040
H  2.3805  0.4282  0.5263
H  0.7728  0.9545  1.2556
H  1.1995  1.4478  -0.1966



# C23H24NO2PbS4

C23H24NO2PbS4 as an isolated structure (the ωB97M-V functional and the def2-TZVPD basis, the Open Molecules 2025 dataset).

Values from the calculation:
Maximum force (eV Å⁻¹): 9.4
Orbital gap (eV): 4.99
DFT total energy (hartree): -2881.3409
Charge: -1
LUMO (eV): 1.33

Positions of all 55 atoms, in Å:
Pb  -0.7572  -1.3180  0.8033
S  1.5057  0.2427  1.3281
C  2.8308  -0.7041  2.0367
C  3.1551  -0.4833  3.4197
C  4.1119  -1.2260  4.1688
C  4.8195  -2.2213  3.5667
C  4.5354  -2.5893  2.2383
C  3.6220  -1.8404  1.4671
S  3.7766  -2.2824  -0.3174
C  1.9897  -2.5261  -0.7146
C  1.3988  -1.6082  -1.7958
C  2.0752  -1.4340  -3.0225
C  1.3944  -0.7855  -4.0365
C  0.2262  -0.1705  -3.7560
C  -0.2875  -0.1181  -2.4630
C  -1.0373  0.8652  -1.9575
S  -1.5978  1.0387  -0.2689
C  -3.1422  0.0831  -0.1638
C  -3.6763  -0.3668  -1.3521
C  -4.7547  -1.2374  -1.3150
C  -5.2786  -1.6589  -0.0853
C  -4.6250  -1.2821  1.0753
C  -3.5818  -0.4035  1.1169
S  -2.4942  -0.2866  2.5108
N  0.2162  -1.0579  -1.5673
H  2.5453  0.2291  4.0558
H  4.3497  -1.1103  5.2196
H  5.5873  -2.7692  4.1845
H  5.0860  -3.4345  1.8342
H  1.4182  -2.5896  0.2215
H  1.9748  -3.5469  -1.1233
H  3.0689  -1.8096  -3.1867
H  1.7416  -0.6442  -5.0627
H  -0.3344  0.3095  -4.5744
H  -1.1317  1.7520  -2.5584
H  -6.4908  -5.5021  -5.5498
H  -3.3730  -0.0434  -2.3574
H  -5.2122  -1.5866  -2.2338
H  -6.1768  -2.2764  -0.0666
H  -4.8637  -1.7206  2.0417
O  -7.3836  -0.9001  -2.6798
C  1.5771  3.9321  2.5744
C  2.8233  3.6011  1.6518
C  -7.5636  -0.1876  -1.4876
C  3.2114  4.9304  0.9716
O  3.4399  2.6494  1.5242
H  1.7910  3.9745  3.6465
H  0.6792  3.3876  2.3247
H  1.2114  4.9562  2.4434
H  -8.2366  0.6730  -1.7393
~~~

You will come alive again and call the trying times your friend
The pain that you have suffered through will never get the best of you
You will hope in something real that won’t depend on how you feel
When you call my name then I will answer, answer

┌──
Record 1
Entry from OMol25: a structure of composition C31H20Cl5LuN12S3 (wB97M-V/def2-TZVPD).

The total energy comes out at -6581.62665 Eh. The value obtained for the HOMO energy (alpha / beta) is -1.135 / -0.854 eV.

Structure (ORCA input):
```
! RIJCOSX wB97M-V def2-TZVPD def2/J DEFGRID3
* xyz -2 1
Lu 0.940 -0.043 0.131
Cl 2.356 -0.504 2.862
C 3.720 -0.332 1.775
C 3.415 -0.215 0.425
C 4.541 -0.144 -0.397
Cl 4.335 -0.085 -2.121
C 5.850 -0.138 0.086
Cl 7.202 -0.032 -0.992
C 6.081 -0.239 1.457
Cl 7.694 -0.217 2.083
C 5.000 -0.364 2.318
Cl 5.254 -0.578 4.018
N -8.050 3.995 4.086
C -7.074 3.568 3.649
C -5.860 3.042 3.102
C -5.649 1.663 3.005
C -4.483 1.169 2.460
C -3.455 2.020 2.013
C -3.682 3.405 2.129
C -4.855 3.906 2.648
C -2.218 1.489 1.442
C -0.977 2.007 1.944
C -0.810 2.931 2.993
C 0.569 3.161 3.134
C 1.187 2.358 2.198
N 0.276 1.643 1.476
C -2.344 0.536 0.379
C -3.540 0.143 -0.259
C -3.187 -0.683 -1.332
C -1.804 -0.758 -1.319
N -1.275 -0.036 -0.292
H -6.413 0.988 3.370
H -4.328 0.100 2.404
H -2.923 4.084 1.765
H -5.022 4.975 2.699
H -1.595 3.359 3.595
H 1.058 3.822 3.836
H 2.245 2.270 1.994
H -4.538 0.455 0.006
H -3.846 -1.165 -2.040
H -1.176 -1.279 -2.022
C 4.033 -6.157 -0.676
C 3.174 -5.277 -1.504
N 2.700 -5.567 -2.672
N 2.018 -4.441 -3.024
C 2.069 -3.444 -2.116
S 1.338 -1.953 -2.273
N 2.824 -4.003 -1.135
N 3.224 -3.337 0.026
H 4.097 -7.132 -1.152
H 3.618 -6.280 0.327
H 5.037 -5.737 -0.587
H 1.527 -4.383 -3.897
H 2.398 -2.903 0.440
H 3.601 -4.020 0.670
S 1.457 1.996 -1.649
N -1.488 -6.218 1.688
C -1.024 -5.165 1.858
N -0.489 -4.012 2.162
C 0.061 -3.086 1.500
N 0.633 -2.205 0.976
S 1.247 1.305 -3.577
C -0.115 2.217 -4.223
N -0.899 2.904 -3.344
C -1.956 3.690 -3.813
C -2.212 3.670 -5.157
C -1.413 2.893 -5.991
N -0.327 2.175 -5.498
H -0.642 2.860 -2.365
H -2.499 4.256 -3.074
H -3.027 4.251 -5.568
H -1.585 2.826 -7.057
*
```
└──

I am on your side though the wind and waves beat against your faith
You were on my mind when the world was made
Trust in me my child, Trust in me my child

Walk out on the water where you have no control
So scared to death of failure you sacrifice your soul, please let that go

You have climbed an uphill road, You have worn a heavy load
You have cried through endless nights and nearly given up the fight
Watched your dreams like falling stars the heartaches made you who you are
Now looking back you see that I have always been there

Where you gonna hide? Where you gonna hide from Me?
Where you gonna go? Where you gonna go that I can’t see?

I have heard you cry and it breaks my heart for I love you so
I would never lie, this is not the end there is still a hope


Anonymous said...

Great song, Amber. Don't give up on this path. Following Jesus sometimes seems so lonely and so uncertain, but you are right...he will never leave you or let you down.

Amber said...

You know, it's kinda weird to be at this in-between place that I'm in. One the one hand it can seem lonely, but on the other hand I see a lot of opportunity for growth and learning. When I think of it that way it's easier to press on day in and day out. I feel like I have a goal at least.

It never seems fun to have to be "set aside" for a time, but it's always worth it if you walk away with a clearer picture. EVERYONE goes through times like these, so I just keep telling myself that this is just "one of those times".

Anonymous said...

Amber -
Once again I love this song and your post. You know in reading it you seem to have such a clear picture of your life. You know what you want, you know what you want to teach your children and you know that God has a plan for you and your life. You are so amazing. You are still young and have a wonderful life awaiting you. And the path you are on will be an amazing one I am sure. Keep the faith and keep doing what you are doing... you really do seem to have things in perspective!
Love ya !! Have a wonderful day!

Amber said...

Awww, I love ya, girl! You always say the sweetest things to me :-).

I really don't feel like I do know what I want though! I mean, I have all these "ideas", but figuring them all out is what confounds and confuses me! I mean, I know what I want to teach my kids...but how do I do that? Of course, that's every parents struggle I'm sure.

Thanks for calling me "young"....I love that! I've got another birthday lurking around the corner all too soon & I can't say I'm too thrilled about this one. It also doesn't help that baby #4 is aging me at break neck speed. I swear, every morning I wake up and think "did I look this old yesterday?". Oh, and it REALLY doesn't help when your Mother-In-Law refers to you as "large" & tells you how worried she is because of how HUGE you are (and then offers you the "suggestion" of wearing a girdle). Thanks "mom"....I needed to hear that! Seriously......

Sometimes I don't get dressed for the day until, and on the weekend I let my kids eat cookies for breakfast. I drank coffee (and sometimes diet coke) when I was pregnant. I use under eye concealer to cover up my zits & I bake when I'm stressed. If you can deal with all that....then welcome to our family blog!